Coffee review

King Sidamoto King Coffee Bean

Published: 2024-06-03 Author: World Gafei
Last Updated: 2024/06/03, Professional Coffee knowledge Exchange more Coffee Bean Information Please note Coffee Workshop (Wechat account cafe_style) Front Street-the King of Yesopisimogurgi G1 comes from the familiar Sidamoguji region, the province of Sidama is located in the south of Ethiopia and the province of Arsi in the north, and the province extends to Bale.

Professional Coffee knowledge Exchange more information about coffee beans Please note the coffee workshop (Wechat account cafe_style)

Qianjie-Yi so Pishi Makuji Riyazi King G1

The king comes from the well-known Sidamoguji region. The province of Sidama is located in the south of Ethiopia and the province of Arsi in the north. The province extends to the province of Bale, and the west is the administrative district of Gamu Gofa.

Growing in the southernmost plateau of Ethiopia, which is between 4600 and 7200 feet above sea level, Sidamosheng is a famous boutique coffee area in southern Ethiopia. It borders Kenya and lies south of Kyrgyzstan, just south of the capital. It is usually sweet and bright, and is more loved than by more people.

The flavor of coffee coffee in Seymour is very diverse. in different soil types, micro-climates and countless native coffee species, this producing region has high mountains, highlands, plateaus, valleys and plains, and the terrain is varied. moreover, the land is fertile and has well-drained volcanic soil. under such strong planting conditions, the amount of coffee can be imagined. With regard to the Guji production area, which has received a lot of attention in recent years, it has achieved good results in both taste exhibition and product quality in recent years.

The Guji region was once part of the Sidamo region, but it has been established as a new region by the Ethiopian Commodity Exchange (ECX) in 2010.

The Gujima area in the south of Yegashafi is next to the Western Paleo and the Baltic River. it is an area with high mountains, highlands, plateaus, valleys and plains.

The area is divided into fertile black soil (Vertisol). The depth of the soil is close to rice, with an average elevation of more than 1800 meters. On the other hand, the geographical characteristics make it difficult to produce fine coffee day and night, so that the land is equipped to produce fine coffee.

These crystal structures were left in the article by mistake =
<<<
KBi3Au2: computed XRD peak list (Cu Kα, 1.54184 Å), based on a DFT-relaxed cell (PBE, Alexandria).
No peak broadening, texture or thermal motion is included.

Structural model:
```
KBi3Au2
1.0
10.0119 -2.3531 0.0000
10.0119 2.3531 0.0000
-3.3610 0.0000 11.6284
K Bi Au
3 9 6
Direct
0.0000 0.0000 0.0000
0.1529 0.1529 0.6963
0.8471 0.8471 0.3037
0.0397 0.0397 0.3322
0.2143 0.2143 0.3827
0.3283 0.3283 0.0477
0.3738 0.3738 0.8073
0.5000 0.5000 0.5000
0.6262 0.6262 0.1927
0.6717 0.6717 0.9523
0.7857 0.7857 0.6173
0.9603 0.9603 0.6678
0.1877 0.1877 0.1034
0.3563 0.3563 0.5354
0.4626 0.4626 0.2074
0.5374 0.5374 0.7926
0.6437 0.6437 0.4646
0.8123 0.8123 0.8966
```

Most intense lines, 2θ = 10–90°, low angle first:
d 6.570, 13.48°, intensity 51; d 5.730, 15.47°, intensity 30; d 3.058, 29.21°, intensity 100; d 2.529, 35.49°, intensity 39; d 2.443, 36.79°, intensity 44; d 2.383, 37.75°, intensity 42; d 2.373, 37.91°, intensity 26; d 2.354, 38.24°, intensity 58; d 2.348, 38.33°, intensity 38; d 1.723, 53.16°, intensity 27

NaTlBi4: computed XRD peak list (Cu Kα, 1.54184 Å), based on a DFT-relaxed cell (PBE, Alexandria).
No peak broadening, texture or thermal motion is included.

Structural model:
```
NaTlBi4
1.0
3.4163 -9.8489 0.0000
3.4163 9.8489 0.0000
0.0000 0.0000 5.7075
Na Tl Bi
2 2 8
Direct
0.1241 0.8759 0.7500
0.8759 0.1241 0.2500
0.3744 0.6256 0.2500
0.6256 0.3744 0.7500
0.0394 0.4592 0.7500
0.2114 0.2935 0.7500
0.2935 0.2114 0.2500
0.4592 0.0394 0.2500
0.5408 0.9606 0.7500
0.7065 0.7886 0.7500
0.7886 0.7065 0.2500
0.9606 0.5408 0.2500
```

Most intense lines, 2θ = 10–90°, low angle first:
d 4.933, 17.98°, intensity 12; d 3.416, 26.08°, intensity 19; d 2.848, 31.41°, intensity 100; d 2.809, 31.86°, intensity 71; d 2.188, 41.27°, intensity 33; d 2.000, 45.34°, intensity 27; d 1.646, 55.85°, intensity 14; d 1.640, 56.08°, intensity 16; d 1.636, 56.24°, intensity 20; d 1.465, 63.50°, intensity 28

Ca2Sb4PdRh3: computed XRD peak list (Cu Kα, 1.54184 Å), based on a DFT-relaxed cell (PBE, Alexandria).
No peak broadening, texture or thermal motion is included.

Structural model:
```
Ca2Sb4PdRh3
1.0
4.5613 0.0000 0.0000
0.0000 4.5613 0.0000
0.0000 0.0000 10.6077
Ca Sb Pd Rh
2 4 1 3
Direct
0.0000 0.5000 0.2455
0.5000 0.0000 0.7545
0.0000 0.0000 0.5000
0.0000 0.5000 0.8697
0.5000 0.0000 0.1303
0.5000 0.5000 0.5000
0.5000 0.5000 0.0000
0.0000 0.0000 0.0000
0.0000 0.5000 0.6258
0.5000 0.0000 0.3742
```

Most intense lines, 2θ = 10–90°, low angle first:
d 5.304, 16.72°, intensity 51; d 4.190, 21.20°, intensity 54; d 2.795, 32.03°, intensity 49; d 2.756, 32.49°, intensity 100; d 2.281, 39.51°, intensity 92; d 2.048, 44.22°, intensity 92; d 1.767, 51.73°, intensity 28; d 1.613, 57.11°, intensity 30; d 1.392, 67.27°, intensity 23; d 1.267, 74.95°, intensity 38

Dy3Be2Co4: computed XRD peak list (Cu Kα, 1.54184 Å), based on a DFT-relaxed cell (PBE, Alexandria).
No peak broadening, texture or thermal motion is included.

Structural model:
```
Dy3Be2Co4
1.0
>>>
The article goes on =

[the King of Sidamo]

This batch is produced by the coffee shop of Shilcho Coop, which is located near the town of Dara Woreda in Sidama province.

This cooperative was founded in 1976 and is currently a member of SCFCU (Sidama Coffee FarmerCooperative Union), the cooperative alliance of Sidama province.

SCFCU is the largest coffee cooperative alliance in Ethiopia, which currently has about 46 member cooperatives, making it the second largest coffee in Ethiopia.

Processing method

These beans are processed on a daily basis.

The daily cooking method is the oldest and most primitive method for the treatment of coffee beans. The harvested coffee fruit is directly exposed to light for drying for four weeks. During the drying period, it needs to be turned over indefinitely, and it has failed without fermentation.

Daily coffee is sweet and tastes thicker, but the only bad thing is that the defect rate will be higher.

Yi so Pisi Makuji Rikuzi King G1

Production area: Guji,Sidamo

Altitude: Heirloom

Altitude: 1800m-2000m

Next to the page, the page also holds data records >
┌──
Record 1
Starting from a cell relaxed with GGA-PBE, the X-ray powder pattern of DyHoZn2In2 was calculated for Cu Kα (weighted mean of Kα1 and Kα2).
Neutral-atom scattering factors, no anomalous dispersion.

Top 12 peaks for 15° ≤ 2θ ≤ 90°, by angle:
| d_spacing | 2θ (°) | I (rel.) | (hkl) |
| --- | --- | --- | --- |
| 4.030 | 22.05 | 10 | 1 0 0 |
| 3.524 | 25.27 | 10 | 0 1 1 |
| 2.698 | 33.21 | 100 | 0 1 2 |
| 2.327 | 38.70 | 67 | 1 1 0 |
| 2.076 | 43.61 | 10 | 1 0 3 |
| 1.816 | 50.24 | 6 | 0 0 4 |
| 1.762 | 51.89 | 28 | 2 0 2 |
| 1.432 | 65.16 | 17 | 1 1 4 |
| 1.405 | 66.57 | 26 | 1 2 2 |
| 1.367 | 68.68 | 5 | 0 1 5 |
| 1.343 | 70.04 | 11 | 3 0 0 |
| 1.163 | 83.00 | 7 | 2 2 0 |

Atomic structure:
Cell lengths 4.6538, 4.6538, 7.2637 Å; angles 90.00, 90.00, 120.00 degrees
Space group P3m1 (No. 156)
One atom of each set of equivalent atoms:
Dy1 0.0000 0.0000 0.0000
Ho1 0.0000 0.0000 0.5002
Zn1 0.3333 0.6667 0.1956
Zn2 0.6667 0.3333 0.6949
In1 0.3333 0.6667 0.7746
In2 0.6667 0.3333 0.2756


Record 2
Starting from a cell relaxed with GGA-PBE, the X-ray powder pattern of Si12Ni31 was calculated for Cu Kα (weighted mean of Kα1 and Kα2).
Neutral-atom scattering factors, no anomalous dispersion.

Top 12 peaks for 15° ≤ 2θ ≤ 90°, by angle:
| d_spacing | 2θ (°) | I (rel.) | (hkl) |
| --- | --- | --- | --- |
| 2.924 | 30.57 | 8 | 1 1 2 |
| 2.608 | 34.39 | 9 | 2 0 2 |
| 2.581 | 34.76 | 9 | 1 1 3 |
| 2.144 | 42.15 | 28 | 1 2 1 |
| 2.100 | 43.07 | 25 | 0 2 4 |
| 2.052 | 44.13 | 9 | 1 2 2 |
| 1.975 | 45.94 | 100 | 1 1 5 |
| 1.921 | 47.33 | 93 | 3 0 0 |
| 1.776 | 51.45 | 13 | 2 1 4 |
| 1.377 | 68.09 | 13 | 2 2 5 |
| 1.214 | 78.85 | 11 | 3 2 4 |
| 1.119 | 87.09 | 11 | 4 1 5 |

Atomic structure:
Cell lengths 6.6525, 6.6525, 12.2768 Å; angles 90.00, 90.00, 120.00 degrees
Space group P321 (No. 150)
One atom of each set of equivalent atoms:
Si1 0.0000 0.0000 0.2093
Si2 0.0000 0.3505 0.0000
Si3 0.0000 0.6811 0.5000
Si4 0.3333 0.6667 0.2728
Si5 0.3333 0.6667 0.7755
Ni1 0.0000 0.0000 0.0000
Ni2 0.0000 0.0000 0.4030
Ni3 0.0353 0.3568 0.1945
Ni4 0.0375 0.7023 0.6979
Ni5 0.0624 0.6911 0.9037
Ni6 0.0786 0.4117 0.4045
Ni7 0.3333 0.6667 0.0668
Ni8 0.3333 0.6667 0.5722


Record 3
Starting from a cell relaxed with GGA-PBE, the X-ray powder pattern of YScGe2Au2 was calculated for Cu Kα (weighted mean of Kα1 and Kα2).
Neutral-atom scattering factors, no anomalous dispersion.

Top 12 peaks for 15° ≤ 2θ ≤ 90°, by angle:
| d_spacing | 2θ (°) | I (rel.) | (hkl) |
| --- | --- | --- | --- |
| 3.703 | 24.03 | 83 | 0 1 2 |
| 2.268 | 39.75 | 100 | 0 2 0 |
| 1.934 | 46.97 | 31 | 2 2 1 |
| 1.932 | 47.03 | 11 | 2 2 -3 |
| 1.603 | 57.47 | 17 | 4 2 -2 |
| 1.473 | 63.11 | 6 | 6 0 -5 |
| 1.471 | 63.24 | 11 | 0 3 2 |
| 1.311 | 72.02 | 8 | 6 1 1 |
| 1.309 | 72.19 | 25 | 2 3 -5 |
| 1.234 | 77.32 | 10 | 4 3 -4 |
| 1.135 | 85.58 | 5 | 8 0 -4 |
| 1.133 | 85.77 | 5 | 0 4 0 |

Atomic structure:
Cell lengths 9.082, 4.531, 13.594 Å; angles 90.00, 109.38, 90.00 degrees
Space group Pm (No. 6)
└──
Here the page continues >

Processing: daily processing

Cup message: strong fruit flavor, cantaloupe, peach, berry and other fruit flavors, crisp, slippery, balanced, lively and changeable, sweet and fragrant.